Public Works
How Can We Help You?
DPW Calendar
2023 Monmouth County Recycling Guide
Bulk Trash & Electronics Recycling Schedule
Roll-Off Container Service
Household Hazardous Waste
Reporting a Streetlight Outage


90 White Road
Shrewsbury, NJ 07702

Monday - Friday 7:00am to 3:00pm
Saturday -  8:00am to 12:00pm

_Data records, as found in the file_
........
(1)
Molecular formula: C26H50BBrN4O12PS2
Method: DFT, wB97M-V/def2-TZVPD

```
97
Properties=species:S:1:pos:R:3:forces:R:3
C 6.5378 1.7962 -1.3521 -0.114 -0.076 -0.090
C 5.7363 0.7335 -2.1419 0.915 0.958 -0.649
C 4.7893 1.4643 -3.1508 0.246 0.387 0.654
N 3.3691 1.4696 -2.7869 1.137 -1.042 -0.554
B 2.6565 0.1287 -2.9928 -1.618 1.362 -0.419
C 2.9119 -0.6419 -4.3997 1.380 -0.227 0.279
N 2.9167 0.2877 -5.5568 -0.402 -0.386 -0.478
C 1.6597 0.1819 -6.3277 0.597 1.383 0.585
O 1.1912 0.5368 -3.0731 -0.416 -0.897 -0.105
C 0.5176 -0.5532 -2.5200 -0.607 0.763 0.094
C 1.3722 -0.6983 -1.1542 -2.152 1.101 -1.710
C 0.9273 0.5793 -0.3903 -0.225 -0.723 1.367
C 0.9293 0.4547 1.1558 0.246 0.677 -0.026
C 1.1300 1.8650 1.7634 0.418 -1.002 -0.045
S -0.3297 2.9381 1.5860 0.290 0.261 -0.038
C -0.4804 3.5128 -0.0889 0.059 -0.583 -0.667
S -1.9374 3.3311 -0.8045 -0.062 0.264 0.389
N 0.5701 4.1057 -0.7993 -0.508 -0.125 0.668
C 0.4025 4.8157 -1.9682 -0.313 0.669 -1.605
C 1.6114 5.2073 -2.3968 0.559 -0.442 0.993
N 2.5675 4.7626 -1.4748 0.977 0.866 -1.214
C 1.9408 4.1339 -0.5685 -0.213 -0.405 0.804
P 0.8203 -2.3620 -0.5790 1.345 -1.154 -0.715
O 1.4785 -2.6615 0.9314 -0.591 0.500 -0.072
Br -1.4225 -2.2006 -0.1427 0.250 0.462 0.301
O 2.6458 -0.6918 -1.7194 0.374 -0.956 1.281
H 7.2265 2.3271 -2.0238 -0.144 -0.154 0.013
H 5.8665 2.5748 -0.9638 0.126 -0.254 0.244
H 7.1569 1.3637 -0.5563 -0.247 0.114 0.042
H 5.2202 0.0321 -1.4826 -0.101 0.083 -0.209
H 6.4909 0.2071 -2.7463 -0.272 -0.366 0.303
H 4.9850 1.0691 -4.1531 -0.513 -0.038 0.089
H 5.1163 2.5206 -3.1742 0.093 -0.233 -0.128
H 3.3669 1.6487 -1.7851 -0.266 0.226 -0.110
H 2.1595 -1.4152 -4.6092 0.029 0.120 0.346
H 3.8778 -1.1903 -4.3805 -0.207 0.088 -0.154
H 2.9036 1.2490 -5.2261 0.211 -0.190 0.308
H 1.7687 0.9004 -7.1542 -0.245 -0.472 -0.199
H 1.4684 -0.8330 -6.6802 0.019 0.146 0.007
H 0.8563 0.5840 -5.6857 -0.325 -0.601 -0.305
H 0.4966 -1.4747 -3.1329 0.563 0.069 0.081
H -0.5434 -0.2743 -2.4198 0.177 -0.122 0.486
H -0.1079 0.7945 -0.6751 0.205 0.028 -0.055
H 1.5047 1.4624 -0.6685 0.218 -0.380 -0.289
H 1.7346 -0.1955 1.5234 0.031 0.223 -0.183
H -0.0056 0.0167 1.5313 0.086 0.114 -0.163
H 1.3116 1.7865 2.8435 -0.321 0.250 -0.106
H 2.0499 2.2639 1.3339 -0.260 0.163 0.159
H -0.4917 5.0450 -2.5232 -0.391 -0.509 0.670
H 1.8534 5.7574 -3.2918 0.101 -0.037 0.136
H 2.4307 3.6597 0.2661 -0.302 0.115 -0.020
H 0.7899 -2.8218 1.5890 0.119 -0.084 -0.019
C -3.5315 4.4187 -9.6178 -0.198 -0.096 0.129
C -2.0839 4.2479 -9.2049 -0.092 0.110 -0.397
O -1.9682 3.9467 -7.8115 0.120 0.029 0.013
C -2.2458 2.6823 -7.4740 -0.032 0.014 0.135
O -2.5630 1.8035 -8.2344 0.008 0.035 -0.046
O -2.1255 2.5729 -6.1556 -0.002 0.013 -0.053
C -2.4774 1.2869 -5.6372 -0.022 -0.314 0.292
H -4.0229 5.1609 -8.9860 0.078 0.081 -0.057
H -3.5976 4.7429 -10.6574 0.037 0.013 0.015
H -4.0845 3.4859 -9.5113 0.090 -0.041 -0.061
H -1.5447 5.1821 -9.3571 0.054 -0.011 0.238
H -1.5853 3.4830 -9.8010 -0.070 -0.112 0.115
H -1.9327 0.4937 -6.1445 -0.040 0.062 -0.102
........

Tel: 732-741-0522         
Fax: 732-741-4545

Director:  Matthew Hall  x-402

All items must be placed out curbside by 6:00am day of pickup

NOTICE: Unauthorized dumping of any materials or debris on Borough property is prohibited by local ordinances. Such properties include but are not limited to the Municipal Complex, Recycling Center, Parks and Ball fields, Compost Facility and Patriot Island.

Household and Bulk Trash

Zone 1 - Mondays and Thursdays: 
Highway 35 and all streets west of highway 35 including, Avenue at the Common, Winding Brookway, Blades Run Dr., Meadow Dr. east, Brady Road, Thornbrooke Drive, Dorn Drive, Campbell Ct.,  and Adams Way.

Zone 2 - Tuesdays and Fridays: 
All streets east of highway 35 except those streets listed above.

 NOTICE: Household Trash should be in trash cans with secure lids weighing no more than 50 pounds. 

Recycling Schedule
On Holidays or Snowstorms collection will be the next scheduled pick up day. 

All recycling will be collected on Wednesday; this includes newspapers, bottles and cans, plastics, junk mail (mixed paper) and cardboard. All items are to be placed curbside.  All recycled material may be intermixed in the same can, not to exceed 50lbs per can.

ZONE 1 – EVERY Wednesday

ZONE 2  EVERY Wednesday

RECYCLING PAD Hours of Operation:  7am to 3pm -  Monday through Friday.  Saturday 8am to 12:00pm – Except Holidays

Single Stream Recycling Alert
The quality of the single stream recycling collection in the Borough of Shrewsbury has caused an extreme increase in the cost each month. There is a zero-tolerance policy for contaminated single stream we collect curbside. Single stream recycling is to consist of cardboard, newspaper, bottles, cans and plastics, none of which can be contaminated with food waste and most importantly the single stream recycling is to be loose – NO PLASTIC BAGS AT ALL.

Brush and Leaf Collection

Brush and Leaves must be separated!
Advise your landscaper - 
Combination piles will not be picked up!

Brush and Leaves are recyclable materials. They should be placed curbside SEPARATELY for collection. DO NOT bag leaves. All brush must be cut to a maximum of 6-foot lengths. To keep storm drains clear and prevent flooding during rainy weather, leave a space between the curb and the leaves/brush.

NO BRUSH may be placed curbside after 7:00 am on your last scheduled pick up day in October.

**Brush will be collected April through October;**

**Leaves will be collected April through June and September through December.**

 **Do not put brush or leaves out at any other times.**


To Report Potholes and DPW Questions

To contact DPW or to report a pothole on a Shrewsbury street, click here to let us know.  Please do not include State or County Roads (Sycamore Avenue, Shrewsbury Avenue, and Broad Street).

Shrewsbury cannot fix potholes located on state and county roads and they must be reported to the governmental agency responsible for the road. Route 35/Broad Street - please use this link to the NJ Pothole Reporting Form and fill out the requested information or call 1-800-Pothole and
press 2.  

Data records from another source follow >
-- begin --
Entry from OMol25: a 2-piece molecular cluster, C10H21BF8NO7P2S overall in a non-equilibrium geometry (ωB97M-V with the def2-TZVPD basis set).

```
51
Properties=species:S:1:pos:R:3:forces:R:3
C -4.493 -4.042 2.122 -0.2561 -0.4757 -0.5696
O -3.361 -3.226 1.740 0.0624 0.2428 0.7692
B -3.521 -1.898 1.832 -0.5567 -0.3672 -0.2781
O -4.631 -1.240 1.379 0.3971 0.3549 -0.2297
N -2.359 -1.054 2.419 0.2561 -1.1018 -0.7634
C -1.106 -1.495 1.591 -0.3546 0.6740 -0.0510
C 0.106 -0.554 1.675 0.7851 -0.6797 -0.2011
C 1.352 -1.433 1.979 -0.2611 0.6192 -0.0451
C 0.400 0.181 0.366 0.0118 0.2631 0.4900
P -2.735 0.798 2.231 1.4021 1.4514 1.6133
O -4.196 0.974 2.830 -0.1029 0.0247 -0.9727
O -2.861 0.818 0.623 -0.4973 -0.2164 -0.1392
P -2.105 -1.516 4.108 -1.8387 0.5542 1.8798
O -0.799 -0.788 4.585 0.6063 -0.2540 -0.5958
O -1.761 -3.054 4.078 0.5051 -0.2109 -0.3055
S -3.634 -1.129 5.180 0.0976 -0.0025 -0.5204
H -4.110 -4.933 2.607 0.1434 0.0440 0.1076
H -5.044 -4.360 1.240 0.0554 0.0609 -0.1309
H -5.183 -3.519 2.778 0.1256 0.1683 0.1164
H -4.701 -1.252 0.414 -0.3562 -0.2270 0.1643
H -0.852 -2.491 1.939 -0.1681 -0.0962 0.0853
H -1.455 -1.599 0.566 0.0214 0.0698 -0.0988
H 0.042 0.167 2.484 -0.4148 0.0186 0.0502
H 1.758 -1.795 1.038 0.0645 -0.3477 0.0627
H 1.132 -2.263 2.647 0.0648 -0.1367 0.0161
H 2.112 -0.807 2.442 0.1540 -0.0403 -0.0079
H 0.267 -0.461 -0.502 -0.0535 -0.0568 -0.0542
H -0.173 1.099 0.253 -0.1816 -0.0219 -0.1035
H 1.442 0.481 0.398 0.0460 0.0989 -0.1105
H -4.881 0.953 2.136 -0.1350 -0.3477 0.3939
H -2.556 1.694 0.336 0.0568 -0.2150 -0.2441
H -0.036 -1.385 4.664 0.0500 0.2235 0.0162
H -2.381 -3.489 4.690 0.1344 -0.1100 -0.1562
C 3.926 1.305 -4.599 0.3012 -0.5229 0.0474
C 3.887 2.630 -5.382 -0.5534 -0.0957 0.1320
C 4.676 3.823 -4.829 0.2286 0.1368 -0.1442
F 4.236 4.188 -3.608 -0.1313 -0.1311 0.0831
F 4.510 4.872 -5.661 -0.0348 -0.0370 -0.0188
F 2.602 2.982 -5.601 0.0317 0.0812 0.0637
F 4.444 2.361 -6.595 0.1722 -0.0349 0.0510
O 2.839 0.993 -3.727 -0.2597 0.6328 -0.0335
C 2.772 1.432 -2.433 0.6050 -0.4130 -0.4623
C 1.579 2.369 -2.203 -0.1889 0.0292 0.0956
F 1.626 3.431 -3.015 0.1425 0.0757 -0.0688
F 1.607 2.814 -0.920 0.0082 -0.0783 -0.0163
F 3.930 1.973 -2.022 -0.1557 0.1180 0.0477
F 2.556 0.331 -1.655 0.0181 0.1538 -0.0804
H 3.863 0.535 -5.365 -0.0796 0.0232 -0.0300
H 4.886 1.161 -4.105 0.0035 0.2202 0.1179
H 5.742 3.587 -4.771 -0.0165 -0.0460 0.0087
H 0.643 1.832 -2.378 0.0451 -0.0726 0.0198
-- stop --

Newman Springs Rd, Sycamore Ave & Shrewsbury Ave - Please call the Monmouth County Pothole Hotline at 732-431-6550.


Styrofoam Recycling

The Borough of Shrewsbury is proud to accept #6 EPS Expanded Polystyrene for recycling at the Borough Recycling Center .

Accepted Items

Acceptable recyclable foam material items include white, clean expanded polystyrene (EPS), most commonly known as Styrofoam, which sometimes can be identified by the recycle symbol #6. As a general rule usually furniture, appliances, and electrical fixtures are packed in recycable foam material. 

All styrofoam must be clean and white and clean of all tape, stickers, cardboard, glue and labels, as well as all dirt, dust and paint.


Not Accepted Items

The following items are not accepted for recycling:

* Food service foam

*Colored foam

*Meat Trays

*Packing Peanuts or foam

*Styrofoam cups

Any recycling questions please email: